Exercise =
The reader should set down everything underneath word for word.
Source =
........
[1]
Here is a molecular structure, C6H9IOS in a non-equilibrium geometry from the Open Molecules 2025 dataset. Energies are from ωB97M-V with the def2-TZVPD basis set.

E_HOMO (spin up / spin down)   -9.012 / -8.714 eV
Kohn-Sham gap (spin up / spin down)   7.202 / 8.481 eV

XYZ file:
```
18
C6H9IOS, DFT ωB97M-V with the def2-TZVPD basis set
C 1.36123 1.92645 -0.46777
C 1.30866 0.61879 0.09982
C 0.01952 0.40785 0.82802
C 0.13968 0.84532 -2.68125
C 0.23201 0.02727 2.28377
C -0.88374 -0.51368 -0.03342
O 2.02001 2.63129 -1.12088
S -0.39866 2.17299 0.36762
I 3.01246 -0.61075 0.22576
H -0.52826 1.34239 -2.09393
H -0.24382 -0.13611 -3.11221
H 0.92901 1.36356 -3.17654
H -0.81272 -0.32214 2.73126
H 0.54420 0.91161 2.87706
H 0.92604 -0.88036 2.56316
H -0.56477 -0.45423 -1.08262
H -1.95823 -0.21953 0.03662
H -0.69209 -1.49848 0.32815
```

natural (NBO) atomic charge list, values in e, 5 entries: atom 1 (C): 0.421, atom 2 (C): -0.134, atom 3 (C): -0.235, atom 4 (C): -0.474, atom 5 (C): -0.647

=====

[2]
Here is a molecular structure, C6H9LiO5Pb in a non-equilibrium geometry from the Open Molecules 2025 dataset. Energies are from ωB97M-V with the def2-TZVPD basis set.

E_HOMO (spin up / spin down)   -6.216 / -6.216 eV
Kohn-Sham gap (spin up / spin down)   6.002 / 6.002 eV

XYZ file:
```
22
C6H9LiO5Pb, DFT ωB97M-V with the def2-TZVPD basis set
O 2.36943 0.80216 -0.51225
C 2.56935 -0.04492 0.52165
C 2.55537 -1.43033 -0.17887
O 1.30699 -1.58475 -0.76576
Pb 0.68958 0.21791 -1.37343
H 2.55763 -0.47038 1.55375
H 3.39156 -1.55858 -0.89698
O -2.14982 -0.71724 0.33539
C -1.48666 -0.09802 1.38054
C -0.50351 0.84300 1.14815
O -0.54378 1.53046 -0.12808
C -1.84701 1.45814 -0.71005
C -2.12784 -0.02731 -0.93922
O -1.12922 -0.55911 -1.69611
Li -0.41226 -2.18339 -0.88502
H -2.12418 0.02273 2.25933
H -0.14088 1.50761 1.93206
H -1.79301 1.98086 -1.67209
H -2.57958 1.93426 -0.04487
H -3.13025 -0.17918 -1.37309
H 1.76317 0.73749 1.43391
H 2.76490 -2.18144 0.61104
```

Löwdin atomic charge list, values in e, 5 entries: atom 1 (O): -0.408, atom 2 (C): -0.379, atom 3 (C): -0.325, atom 4 (O): -0.506, atom 5 (Pb): 1.295

=====

[3]
Here is a molecular structure, C6H9MnN13O6P2 from the Open Molecules 2025 dataset. Energies are from ωB97M-V with the def2-TZVPD basis set.

Multiplicity   2
Net charge   -2
E_HOMO (spin up / spin down)   -2.662 / -2.352 eV
Kohn-Sham gap (spin up / spin down)   7.165 / 6.855 eV

XYZ file:
```
37
C6H9MnN13O6P2, DFT ωB97M-V with the def2-TZVPD basis set
Mn -0.93752 0.76930 -0.07096
N 0.66400 -2.67456 0.40160
C -0.55839 -2.64816 1.27742
C -0.63057 -4.01035 1.96117
P -0.20204 -1.30332 2.49117
O -1.37480 -1.52316 3.55789
O 1.12376 -1.64091 3.07096
O -0.41879 -0.01439 1.74438
P -2.11583 -2.24410 0.40407
O -2.21497 -3.47984 -0.66209
O -3.15148 -2.34471 1.46637
O -1.95978 -1.01623 -0.44060
H 1.46503 -2.77458 1.03535
H 0.89765 -1.81643 -0.18972
H 0.62924 -3.46116 -0.24486
H 0.25237 -4.16186 2.58640
H -0.70764 -4.81327 1.22140
H -1.51309 -4.05037 2.59408
H -2.22900 -1.59740 3.08153
H -2.34963 -3.08384 -1.53266
N -0.98096 0.81027 -3.52822
C -1.94979 1.53685 -2.86056
N -2.90294 2.20574 -3.48438
N -3.61775 2.75384 -2.47157
N -3.11276 2.43005 -1.33405
N -2.03247 1.63975 -1.54439
C 0.02861 0.11954 -2.90884
N 0.90917 -0.63942 -3.56186
N 1.64898 -1.19067 -2.59273
N 1.24590 -0.76337 -1.43693
N 0.21236 0.08005 -1.60115
H -1.01422 0.80083 -4.53004
N 0.05256 2.44524 0.36733
C 0.75444 3.32795 0.64248
N 1.63132 4.25024 0.89949
C 1.36904 5.19327 1.78266
N 1.24909 6.07157 2.53467
```

natural (NBO) atomic charge list, values in e, 5 entries: atom 1 (Mn): 1.157, atom 2 (N): -0.724, atom 3 (C): -0.670, atom 4 (C): -0.632, atom 5 (P): 2.416

=====

[4]
Here is C6H9N in the gas phase in a non-equilibrium geometry from the Open Molecules 2025 dataset. Energies are from ωB97M-V with the def2-TZVPD basis set.

E_HOMO   -8.065 eV
Kohn-Sham gap   8.460 eV

XYZ file:
```
16
C6H9N, DFT ωB97M-V with the def2-TZVPD basis set
C -0.96151 -0.51971 -0.87882
........
Here it is =
[1]
Here is a molecular structure, C6H9IOS in a non-equilibrium geometry from the Open Molecules 2025 dataset. Energies are from ωB97M-V with the def2-TZVPD basis set.

E_HOMO (spin up / spin down)   -9.012 / -8.714 eV
Kohn-Sham gap (spin up / spin down)   7.202 / 8.481 eV

XYZ file:
```
18
C6H9IOS, DFT ωB97M-V with the def2-TZVPD basis set
C 1.36123 1.92645 -0.46777
C 1.30866 0.61879 0.09982
C 0.01952 0.40785 0.82802
C 0.13968 0.84532 -2.68125
C 0.23201 0.02727 2.28377
C -0.88374 -0.51368 -0.03342
O 2.02001 2.63129 -1.12088
S -0.39866 2.17299 0.36762
I 3.01246 -0.61075 0.22576
H -0.52826 1.34239 -2.09393
H -0.24382 -0.13611 -3.11221
H 0.92901 1.36356 -3.17654
H -0.81272 -0.32214 2.73126
H 0.54420 0.91161 2.87706
H 0.92604 -0.88036 2.56316
H -0.56477 -0.45423 -1.08262
H -1.95823 -0.21953 0.03662
H -0.69209 -1.49848 0.32815
```

natural (NBO) atomic charge list, values in e, 5 entries: atom 1 (C): 0.421, atom 2 (C): -0.134, atom 3 (C): -0.235, atom 4 (C): -0.474, atom 5 (C): -0.647

=====

[2]
Here is a molecular structure, C6H9LiO5Pb in a non-equilibrium geometry from the Open Molecules 2025 dataset. Energies are from ωB97M-V with the def2-TZVPD basis set.

E_HOMO (spin up / spin down)   -6.216 / -6.216 eV
Kohn-Sham gap (spin up / spin down)   6.002 / 6.002 eV

XYZ file:
```
22
C6H9LiO5Pb, DFT ωB97M-V with the def2-TZVPD basis set
O 2.36943 0.80216 -0.51225
C 2.56935 -0.04492 0.52165
C 2.55537 -1.43033 -0.17887
O 1.30699 -1.58475 -0.76576
Pb 0.68958 0.21791 -1.37343
H 2.55763 -0.47038 1.55375
H 3.39156 -1.55858 -0.89698
O -2.14982 -0.71724 0.33539
C -1.48666 -0.09802 1.38054
C -0.50351 0.84300 1.14815
O -0.54378 1.53046 -0.12808
C -1.84701 1.45814 -0.71005
C -2.12784 -0.02731 -0.93922
O -1.12922 -0.55911 -1.69611
Li -0.41226 -2.18339 -0.88502
H -2.12418 0.02273 2.25933
H -0.14088 1.50761 1.93206
H -1.79301 1.98086 -1.67209
H -2.57958 1.93426 -0.04487
H -3.13025 -0.17918 -1.37309
H 1.76317 0.73749 1.43391
H 2.76490 -2.18144 0.61104
```

Löwdin atomic charge list, values in e, 5 entries: atom 1 (O): -0.408, atom 2 (C): -0.379, atom 3 (C): -0.325, atom 4 (O): -0.506, atom 5 (Pb): 1.295

=====

[3]
Here is a molecular structure, C6H9MnN13O6P2 from the Open Molecules 2025 dataset. Energies are from ωB97M-V with the def2-TZVPD basis set.

Multiplicity   2
Net charge   -2
E_HOMO (spin up / spin down)   -2.662 / -2.352 eV
Kohn-Sham gap (spin up / spin down)   7.165 / 6.855 eV

XYZ file:
```
37
C6H9MnN13O6P2, DFT ωB97M-V with the def2-TZVPD basis set
Mn -0.93752 0.76930 -0.07096
N 0.66400 -2.67456 0.40160
C -0.55839 -2.64816 1.27742
C -0.63057 -4.01035 1.96117
P -0.20204 -1.30332 2.49117
O -1.37480 -1.52316 3.55789
O 1.12376 -1.64091 3.07096
O -0.41879 -0.01439 1.74438
P -2.11583 -2.24410 0.40407
O -2.21497 -3.47984 -0.66209
O -3.15148 -2.34471 1.46637
O -1.95978 -1.01623 -0.44060
H 1.46503 -2.77458 1.03535
H 0.89765 -1.81643 -0.18972
H 0.62924 -3.46116 -0.24486
H 0.25237 -4.16186 2.58640
H -0.70764 -4.81327 1.22140
H -1.51309 -4.05037 2.59408
H -2.22900 -1.59740 3.08153
H -2.34963 -3.08384 -1.53266
N -0.98096 0.81027 -3.52822
C -1.94979 1.53685 -2.86056
N -2.90294 2.20574 -3.48438
N -3.61775 2.75384 -2.47157
N -3.11276 2.43005 -1.33405
N -2.03247 1.63975 -1.54439
C 0.02861 0.11954 -2.90884
N 0.90917 -0.63942 -3.56186
N 1.64898 -1.19067 -2.59273
N 1.24590 -0.76337 -1.43693
N 0.21236 0.08005 -1.60115
H -1.01422 0.80083 -4.53004
N 0.05256 2.44524 0.36733
C 0.75444 3.32795 0.64248
N 1.63132 4.25024 0.89949
C 1.36904 5.19327 1.78266
N 1.24909 6.07157 2.53467
```

natural (NBO) atomic charge list, values in e, 5 entries: atom 1 (Mn): 1.157, atom 2 (N): -0.724, atom 3 (C): -0.670, atom 4 (C): -0.632, atom 5 (P): 2.416

=====

[4]
Here is C6H9N in the gas phase in a non-equilibrium geometry from the Open Molecules 2025 dataset. Energies are from ωB97M-V with the def2-TZVPD basis set.

E_HOMO   -8.065 eV
Kohn-Sham gap   8.460 eV

XYZ file:
```
16
C6H9N, DFT ωB97M-V with the def2-TZVPD basis set
C -0.96151 -0.51971 -0.87882